Excerpt:
'''
# TiInPd2

A relaxed TiInPd2 crystal (GGA-PBE, the Materials Project).

Cell and atoms, written as POSCAR:
```
TiInPd2
1.0
3.275 0.000 0.000
0.000 3.275 0.000
0.000 0.000 6.431
Ti In Pd
1 1 2
Direct
0.000 0.000 0.000
0.000 0.000 0.500
0.500 0.500 0.220
0.500 0.500 0.780
```

Output
Calculated formation energy = -0.557 eV/atom
Symmetry = P4/mmm, No. 123
E = -23.234 eV/cell

---

# TiInNi2

A relaxed TiInNi2 crystal (GGA-PBE, the Materials Project).

Cell and atoms, written as POSCAR:
```
TiInNi2
1.0
3.098 0.000 0.000
0.000 3.098 0.000
0.000 0.000 6.112
Ti In Ni
1 1 2
Direct
0.000 0.000 0.000
0.000 0.000 0.500
0.500 0.500 0.211
0.500 0.500 0.789
```

Output
Calculated formation energy = -0.329 eV/atom
Symmetry = P4/mmm, No. 123
Spin magnetization = 0.006 μB/f.u.
E = -23.524 eV/cell

---

# KCrCl3

A relaxed KCrCl3 crystal (GGA-PBE, the Materials Project).

Cell and atoms, written as POSCAR:
```
KCrCl3
1.0
3.520 2.033 5.701
-3.520 2.033 5.701
0.000 -4.065 5.701
K Cr Cl
2 2 6
Direct
0.000 0.000 0.000
0.500 0.500 0.500
0.256 0.256 0.256
0.756 0.756 0.756
0.007 0.462 0.551
0.051 0.962 0.507
0.462 0.551 0.007
0.507 0.051 0.962
0.551 0.007 0.462
0.962 0.507 0.051
```

Output
Calculated formation energy = -1.734 eV/atom
Symmetry = R3c, No. 161
Spin magnetization = 3.999 μB/f.u.
E = -46.271 eV/cell

---

# Dy2Ge5Ir3

A relaxed Dy2Ge5Ir3 crystal (GGA-PBE, the Materials Project).

Cell and atoms, written as POSCAR:
```
Dy2Ge5Ir3
1.0
-5.139 5.914 3.016
5.139 -5.914 3.016
5.139 5.914 -3.016
Dy Ge Ir
4 10 6
Direct
0.134 0.226 0.361
0.366 0.726 0.092
0.634 0.274 0.908
0.866 0.774 0.639
0.027 0.750 0.277
0.098 0.662 0.760
0.250 0.250 0.000
0.402 0.162 0.564
0.473 0.750 0.723
0.527 0.250 0.277
0.598 0.838 0.436
0.750 0.750 0.000
0.902 0.338 0.240
0.973 0.250 0.723
0.142 0.889 0.031
0.250 0.750 0.500
0.358 0.389 0.747
0.642 0.611 0.253
0.750 0.250 0.500
0.858 0.111 0.969
```

Output
Calculated formation energy = -0.718 eV/atom
Symmetry = Ibam, No. 72
Spin magnetization = 0.002 μB/f.u.
E = -132.050 eV/cell

---

# YMgMoS4

A relaxed YMgMoS4 crystal (GGA-PBE, the Materials Project).

Cell and atoms, written as POSCAR:
```
YMgMoS4
1.0
-3.820 3.854 5.391
3.820 -3.854 5.391
3.820 3.854 -5.391
Y Mg Mo S
2 2 2 8
Direct
0.000 0.000 0.000
0.500 0.000 0.500
0.373 0.623 0.750
0.627 0.377 0.250
0.000 0.000 0.500
0.000 0.500 0.000
0.218 0.746 0.472
0.225 0.254 0.972
0.235 0.232 0.498
0.235 0.737 0.002
0.765 0.263 0.998
0.765 0.768 0.502
0.775 0.746 0.028
0.782 0.254 0.528
```

Output
Calculated formation energy = -1.503 eV/atom
Symmetry = Imma, No. 74
Spin magnetization = 2.991 μB/f.u.
E = -87.940 eV/cell

---

# TbBi2IO4

A relaxed TbBi2IO4 crystal (GGA-PBE, the Materials Project).

Cell and atoms, written as POSCAR:
```
TbBi2IO4
1.0
3.954 0.000 0.000
0.000 3.954 0.000
0.000 0.000 9.737
Tb Bi I O
1 2 1 4
Direct
0.000 0.000 0.000
0.500 0.500 0.256
0.500 0.500 0.744
0.000 0.000 0.500
0.000 0.500 0.143
0.000 0.500 0.857
0.500 0.000 0.143
0.500 0.000 0.857
```

Output
Calculated formation energy = -2.276 eV/atom
Symmetry = P4/mmm, No. 123
Spin magnetization = 0.000 μB/f.u.
E = -49.193 eV/cell

---

# GdH12Cl3O6

A relaxed GdH12Cl3O6 crystal (GGA-PBE, the Materials Project).

Cell and atoms, written as POSCAR:
```
GdH12Cl3O6
1.0
7.920 0.000 0.000
0.000 6.599 0.000
-7.406 0.000 9.671
Gd H Cl O
2 24 6 12
Direct
0.000 0.153 0.250
0.000 0.847 0.750
0.032 0.448 0.885
0.032 0.552 0.385
0.200 0.475 0.182
0.200 0.525 0.682
0.240 0.095 0.130
0.240 0.905 0.630
0.323 0.085 0.735
0.323 0.915 0.235
0.371 0.329 0.533
0.371 0.671 0.033
0.473 0.248 0.465
0.473 0.752 0.965
0.527 0.248 0.035
0.527 0.752 0.535
0.629 0.329 0.967
0.629 0.671 0.467
0.677 0.085 0.765
0.677 0.915 0.265
0.760 0.095 0.370
0.760 0.905 0.870
0.800 0.475 0.318
0.800 0.525 0.818
0.968 0.448 0.615
0.968 0.552 0.115
0.201 0.168 0.943
0.201 0.832 0.443
0.500 0.366 0.750
0.500 0.634 0.250
0.799 0.168 0.557
0.799 0.832 0.057
0.056 0.428 0.146
0.056 0.572 0.646
0.258 0.051 0.214
0.258 0.949 0.714
'''

What to do:
Could you say how many lines of the entries further above hold the word "P4", as a bare number?

Response:
3